Request =
Your job: transcribe everything below with every line break kept.

Entries =
........
# C34H45FeGeN6O6Se

A structure of composition C34H45FeGeN6O6Se (ωB97M-V with the def2-TZVPD basis set, the OMol25 dataset).

Geometry as ORCA input:
```
! RIJCOSX wB97M-V def2-TZVPD def2/J DEFGRID3
* xyz 1 1
Fe 0.62 -0.50 -0.03
C 7.04 -1.02 -1.49
C 5.74 -0.87 -0.75
C 5.54 0.10 0.19
C 4.35 0.17 0.95
C 4.09 1.09 1.99
N 4.43 2.35 2.04
C 4.73 3.19 0.87
C 3.55 4.13 0.60
C 2.23 3.36 0.55
N 1.19 4.18 -0.04
C -0.06 4.23 0.35
C -0.78 3.35 1.19
C -1.89 3.91 1.87
C -2.70 3.16 2.68
C -3.87 3.74 3.43
C -2.45 1.77 2.71
C -1.44 1.15 2.01
C -1.49 -0.30 1.95
N -0.79 -1.10 1.25
C -1.38 -2.45 1.15
C -0.46 -3.57 0.72
C 0.15 -3.36 -0.67
N 1.16 -2.32 -0.54
C 2.39 -2.66 -0.64
C 3.48 -1.73 -0.32
C 4.69 -1.79 -0.97
C 3.27 -0.74 0.70
O 2.16 -0.58 1.29
C -0.53 1.93 1.22
O 0.38 1.41 0.52
H 7.70 -0.18 -1.30
H 7.56 -1.93 -1.20
H 6.87 -1.08 -2.57
H 6.35 0.80 0.41
H 3.52 0.72 2.84
H 4.21 2.84 2.89
H 5.65 3.75 1.05
H 4.88 2.53 0.03
H 3.50 4.93 1.34
H 3.74 4.61 -0.37
H 2.34 2.43 -0.01
H 1.90 3.07 1.54
H 1.46 4.80 -0.80
H -0.60 5.09 -0.05
H -2.08 4.97 1.77
H -3.88 4.82 3.36
H -4.81 3.36 3.04
H -3.83 3.47 4.49
H -3.13 1.14 3.28
H -2.31 -0.73 2.54
H -1.84 -2.71 2.11
H -2.19 -2.36 0.42
H 0.35 -3.72 1.44
H -1.06 -4.48 0.70
H 0.59 -4.29 -1.04
H -0.62 -3.01 -1.37
H 2.65 -3.67 -0.93
H 4.83 -2.57 -1.72
O -0.37 3.73 -3.39
C 0.90 3.65 -3.11
O 1.61 4.64 -3.02
C 1.46 2.32 -2.75
C 2.81 2.07 -2.56
N 2.90 0.90 -1.91
N 1.69 0.37 -1.65
C 0.81 1.21 -2.18
C -0.64 0.84 -2.06
O -1.47 1.52 -2.69
O -0.88 -0.17 -1.34
H -0.85 2.85 -3.23
H 3.67 2.64 -2.86
H 3.73 0.39 -1.66
C -6.99 -2.84 -1.48
Ge -5.08 -2.92 -1.87
C -4.16 -4.06 -0.57
........

Here it is =
# C34H45FeGeN6O6Se

A structure of composition C34H45FeGeN6O6Se (ωB97M-V with the def2-TZVPD basis set, the OMol25 dataset).

Geometry as ORCA input:
```
! RIJCOSX wB97M-V def2-TZVPD def2/J DEFGRID3
* xyz 1 1
Fe 0.62 -0.50 -0.03
C 7.04 -1.02 -1.49
C 5.74 -0.87 -0.75
C 5.54 0.10 0.19
C 4.35 0.17 0.95
C 4.09 1.09 1.99
N 4.43 2.35 2.04
C 4.73 3.19 0.87
C 3.55 4.13 0.60
C 2.23 3.36 0.55
N 1.19 4.18 -0.04
C -0.06 4.23 0.35
C -0.78 3.35 1.19
C -1.89 3.91 1.87
C -2.70 3.16 2.68
C -3.87 3.74 3.43
C -2.45 1.77 2.71
C -1.44 1.15 2.01
C -1.49 -0.30 1.95
N -0.79 -1.10 1.25
C -1.38 -2.45 1.15
C -0.46 -3.57 0.72
C 0.15 -3.36 -0.67
N 1.16 -2.32 -0.54
C 2.39 -2.66 -0.64
C 3.48 -1.73 -0.32
C 4.69 -1.79 -0.97
C 3.27 -0.74 0.70
O 2.16 -0.58 1.29
C -0.53 1.93 1.22
O 0.38 1.41 0.52
H 7.70 -0.18 -1.30
H 7.56 -1.93 -1.20
H 6.87 -1.08 -2.57
H 6.35 0.80 0.41
H 3.52 0.72 2.84
H 4.21 2.84 2.89
H 5.65 3.75 1.05
H 4.88 2.53 0.03
H 3.50 4.93 1.34
H 3.74 4.61 -0.37
H 2.34 2.43 -0.01
H 1.90 3.07 1.54
H 1.46 4.80 -0.80
H -0.60 5.09 -0.05
H -2.08 4.97 1.77
H -3.88 4.82 3.36
H -4.81 3.36 3.04
H -3.83 3.47 4.49
H -3.13 1.14 3.28
H -2.31 -0.73 2.54
H -1.84 -2.71 2.11
H -2.19 -2.36 0.42
H 0.35 -3.72 1.44
H -1.06 -4.48 0.70
H 0.59 -4.29 -1.04
H -0.62 -3.01 -1.37
H 2.65 -3.67 -0.93
H 4.83 -2.57 -1.72
O -0.37 3.73 -3.39
C 0.90 3.65 -3.11
O 1.61 4.64 -3.02
C 1.46 2.32 -2.75
C 2.81 2.07 -2.56
N 2.90 0.90 -1.91
N 1.69 0.37 -1.65
C 0.81 1.21 -2.18
C -0.64 0.84 -2.06
O -1.47 1.52 -2.69
O -0.88 -0.17 -1.34
H -0.85 2.85 -3.23
H 3.67 2.64 -2.86
H 3.73 0.39 -1.66
C -6.99 -2.84 -1.48
Ge -5.08 -2.92 -1.87
C -4.16 -4.06 -0.57